(Assignment)
It remains to filter the material underneath: keep the lines with the word "method".
(Material)
=====
{"formula": "C19H29CdCl2F3O22S", "method": "ωB97M-V/def2-TZVPD", "species": ["Cd", "S", "O", "O", "O", "O", "C", "O", "C", "O", "O", "C", "H", "H", "H", "H", "H", "H", "C", "O", "C", "O", "O", "C", "H", "H", "H", "H", "H", "H", "C", "O", "C", "O", "O", "C", "H", "H", "H", "H", "H", "H", "C", "C", "O", "C", "O", "O", "F", "H", "H", "H", "C", "C", "O", "C", "O", "O", "F", "H", "H", "H", "C", "C", "O", "C", "O", "O", "F", "H", "H", "H", "C", "Cl", "Cl", "H", "H"], "xyz": [[-1.709, 3.000, 1.268], [-0.427, 1.288, -0.241], [-1.164, 2.561, -0.564], [0.978, 1.400, -0.550], [-0.634, 1.323, 1.242], [-1.097, 0.167, -0.881], [-4.450, 2.682, -1.333], [-4.460, 1.319, -0.933], [-4.007, 1.035, 0.251], [-3.483, 1.802, 1.042], [-4.145, -0.251, 0.441], [-3.485, -0.784, 1.589], [-3.433, 3.082, -1.366], [-5.038, 3.342, -0.696], [-4.805, 2.761, -2.356], [-2.403, -0.637, 1.525], [-3.611, -1.864, 1.569], [-3.817, -0.367, 2.538], [2.406, 0.299, 2.047], [3.819, 0.192, 1.908], [4.301, -1.034, 1.930], [3.664, -2.043, 2.077], [5.613, -0.955, 1.771], [6.345, -2.114, 1.483], [2.172, 0.052, 3.089], [1.884, -0.513, 1.545], [2.039, 1.295, 1.854], [7.372, -1.928, 1.164], [5.899, -2.658, 0.649], [6.492, -2.797, 2.322], [-0.764, -0.108, 4.085], [-1.174, 0.083, 5.436], [-2.474, 0.071, 5.688], [-3.355, -0.032, 4.878], [-2.618, 0.245, 6.994], [-3.956, 0.040, 7.484], [-0.916, 0.814, 3.522], [-1.298, -0.953, 3.655], [0.302, -0.307, 4.137], [-4.584, 0.839, 7.085], [-3.880, 0.060, 8.563], [-4.399, -0.871, 7.085], [-1.626, 1.203, -4.229], [-0.629, 0.064, -4.113], [0.341, 0.420, -5.065], [-0.048, 1.464, -5.823], [0.636, 1.934, -6.663], [-1.242, 1.936, -5.391], [-1.210, -1.111, -4.498], [-1.596, 1.874, -3.365], [-2.656, 0.859, -4.304], [-0.193, 0.020, -3.116], [2.837, -0.525, -1.721], [3.110, 0.412, -2.883], [3.195, -0.452, -4.018], [3.380, -1.710, -3.560], [3.606, -2.649, -4.256], [3.432, -1.724, -2.210], [4.248, 1.140, -2.696], [1.759, -0.552, -1.574], [3.313, -0.228, -0.790], [2.315, 1.123, -3.110], [0.413, -2.476, -0.040], [-0.515, -2.709, -1.220], [-0.823, -4.082, -1.092], [-0.351, -4.603, 0.063], [-0.536, -5.708, 0.424], [0.316, -3.632, 0.768], [0.202, -2.487, -2.365], [0.212, -1.572, 0.536], [1.467, -2.388, -0.314], [-1.417, -2.103, -1.224], [1.257, 3.639, -2.918], [2.154, 3.565, -4.433], [0.538, 5.254, -2.753], [0.480, 2.881, -2.940], [1.928, 3.387, -2.103]], "atomic_forces_ev_per_a": [[-2.00, 2.50, 2.54], [1.27, -1.00, -1.57], [0.15, 1.18, -3.84], [-0.19, 0.02, -0.17], [1.43, -2.67, 2.15], [0.04, 0.30, 0.45], [0.64, 1.16, -0.45], [-0.55, 0.58, -0.41], [0.27, -1.47, -0.71], [-0.70, 0.68, 0.81], [-0.07, 0.24, 0.32], [0.98, -0.66, 0.67], [0.08, -0.28, 0.17], [-0.23, -0.35, 0.16], [-0.30, -0.42, 0.10], [-0.11, 0.35, -0.24], [-0.47, 0.09, -0.08], [-0.30, 0.05, -0.20], [-0.39, -1.20, 1.67], [-0.30, 1.18, -0.50], [0.20, -0.90, 0.10], [-0.15, -0.15, -0.11], [0.72, 1.02, 0.01], [0.59, -1.78, -0.51], [0.08, 0.31, 0.16], [0.10, 0.39, -0.72], [0.37, 0.04, -0.55], [-0.25, 1.03, 0.03], [-0.25, -0.07, 0.20], [-0.65, 0.16, 0.22], [-0.01, 0.16, 0.12], [0.33, -0.05, 0.26], [0.50, 0.38, 0.21], [-0.39, -0.18, -0.35], [-0.29, -0.49, 0.29], [-0.19, 0.53, -0.75], [-0.15, -0.25, -0.10], [0.06, 0.12, -0.18], [-0.04, -0.11, -0.03], [-0.03, 0.14, 0.38], [-0.11, -0.05, 0.01], [0.31, -0.25, 0.25], [-0.63, 0.59, 0.47], [-0.22, 0.72, -0.62], [0.27, -0.79, 0.67], [0.28, 0.52, 0.16], [-0.38, 0.06, -0.50], [0.00, -0.31, -0.09], [0.22, 0.03, 0.33], [0.24, -0.04, -0.01], [0.09, -0.19, -0.29], [0.04, -0.65, -0.17], [0.41, 0.53, -0.51], [-0.91, 0.55, -0.49], [0.01, 0.68, 1.10], [1.30, -0.79, -0.56], [-0.40, 0.28, 0.30], [-0.85, -0.45, 0.41], [0.31, -0.30, -0.27], [0.04, -0.60, -0.03], [0.12, 0.08, -0.11], [0.07, -0.08, 0.15], [0.87, 0.68, 0.64], [0.82, -0.39, 0.57], [-0.33, 0.36, -0.68], [0.37, 1.06, 0.43], [0.02, -0.50, 0.20], [-0.71, -0.84, -0.19], [-0.40, -0.13, -0.14], [-0.50, -0.23, 0.07], [-0.14, -0.10, -0.55], [0.01, -0.12, -0.27], [0.11, -0.20, -0.23], [0.16, -0.13, -0.04], [-0.06, -0.23, 0.39], [-0.20, 0.25, -0.04], [-0.02, 0.42, 0.11]], "mulliken_charge": [0.99, 1.70, -1.03, -0.64, -0.35, -0.39, -0.54, -0.33, 1.02, -0.66, -0.36, -0.19, 0.09, 0.30, 0.27, -0.23, 0.37, 0.28, -0.37, -0.37, 0.80, -0.56, -0.38, -0.67, 0.42, 0.00, 0.30, 0.27, 0.29, 0.30, -0.28, -0.36, 0.76, -0.59, -0.36, -0.65, 0.15, 0.27, 0.13, 0.29, 0.22, 0.31, -0.26, 1.69, -0.40, 0.55, -0.49, -0.38, -0.37, -0.04, 0.36, -0.66, 0.80, 1.37, -0.36, 0.50, -0.56, -0.40, -0.35, -0.58, 0.10, -0.63, 0.94, 0.96, -0.42, 0.42, -0.51, -0.44, -0.29, -0.68, -0.12, 0.05, 0.89, -0.15, -0.20, -0.77, 0.20], "homo_lumo_gap_ev": 6.83, "charge": 0, "energy_ev": -113814.110, "e_homo_ev": -10.7}
=====
(Solution)
{"formula": "C19H29CdCl2F3O22S", "method": "ωB97M-V/def2-TZVPD", "species": ["Cd", "S", "O", "O", "O", "O", "C", "O", "C", "O", "O", "C", "H", "H", "H", "H", "H", "H", "C", "O", "C", "O", "O", "C", "H", "H", "H", "H", "H", "H", "C", "O", "C", "O", "O", "C", "H", "H", "H", "H", "H", "H", "C", "C", "O", "C", "O", "O", "F", "H", "H", "H", "C", "C", "O", "C", "O", "O", "F", "H", "H", "H", "C", "C", "O", "C", "O", "O", "F", "H", "H", "H", "C", "Cl", "Cl", "H", "H"], "xyz": [[-1.709, 3.000, 1.268], [-0.427, 1.288, -0.241], [-1.164, 2.561, -0.564], [0.978, 1.400, -0.550], [-0.634, 1.323, 1.242], [-1.097, 0.167, -0.881], [-4.450, 2.682, -1.333], [-4.460, 1.319, -0.933], [-4.007, 1.035, 0.251], [-3.483, 1.802, 1.042], [-4.145, -0.251, 0.441], [-3.485, -0.784, 1.589], [-3.433, 3.082, -1.366], [-5.038, 3.342, -0.696], [-4.805, 2.761, -2.356], [-2.403, -0.637, 1.525], [-3.611, -1.864, 1.569], [-3.817, -0.367, 2.538], [2.406, 0.299, 2.047], [3.819, 0.192, 1.908], [4.301, -1.034, 1.930], [3.664, -2.043, 2.077], [5.613, -0.955, 1.771], [6.345, -2.114, 1.483], [2.172, 0.052, 3.089], [1.884, -0.513, 1.545], [2.039, 1.295, 1.854], [7.372, -1.928, 1.164], [5.899, -2.658, 0.649], [6.492, -2.797, 2.322], [-0.764, -0.108, 4.085], [-1.174, 0.083, 5.436], [-2.474, 0.071, 5.688], [-3.355, -0.032, 4.878], [-2.618, 0.245, 6.994], [-3.956, 0.040, 7.484], [-0.916, 0.814, 3.522], [-1.298, -0.953, 3.655], [0.302, -0.307, 4.137], [-4.584, 0.839, 7.085], [-3.880, 0.060, 8.563], [-4.399, -0.871, 7.085], [-1.626, 1.203, -4.229], [-0.629, 0.064, -4.113], [0.341, 0.420, -5.065], [-0.048, 1.464, -5.823], [0.636, 1.934, -6.663], [-1.242, 1.936, -5.391], [-1.210, -1.111, -4.498], [-1.596, 1.874, -3.365], [-2.656, 0.859, -4.304], [-0.193, 0.020, -3.116], [2.837, -0.525, -1.721], [3.110, 0.412, -2.883], [3.195, -0.452, -4.018], [3.380, -1.710, -3.560], [3.606, -2.649, -4.256], [3.432, -1.724, -2.210], [4.248, 1.140, -2.696], [1.759, -0.552, -1.574], [3.313, -0.228, -0.790], [2.315, 1.123, -3.110], [0.413, -2.476, -0.040], [-0.515, -2.709, -1.220], [-0.823, -4.082, -1.092], [-0.351, -4.603, 0.063], [-0.536, -5.708, 0.424], [0.316, -3.632, 0.768], [0.202, -2.487, -2.365], [0.212, -1.572, 0.536], [1.467, -2.388, -0.314], [-1.417, -2.103, -1.224], [1.257, 3.639, -2.918], [2.154, 3.565, -4.433], [0.538, 5.254, -2.753], [0.480, 2.881, -2.940], [1.928, 3.387, -2.103]], "atomic_forces_ev_per_a": [[-2.00, 2.50, 2.54], [1.27, -1.00, -1.57], [0.15, 1.18, -3.84], [-0.19, 0.02, -0.17], [1.43, -2.67, 2.15], [0.04, 0.30, 0.45], [0.64, 1.16, -0.45], [-0.55, 0.58, -0.41], [0.27, -1.47, -0.71], [-0.70, 0.68, 0.81], [-0.07, 0.24, 0.32], [0.98, -0.66, 0.67], [0.08, -0.28, 0.17], [-0.23, -0.35, 0.16], [-0.30, -0.42, 0.10], [-0.11, 0.35, -0.24], [-0.47, 0.09, -0.08], [-0.30, 0.05, -0.20], [-0.39, -1.20, 1.67], [-0.30, 1.18, -0.50], [0.20, -0.90, 0.10], [-0.15, -0.15, -0.11], [0.72, 1.02, 0.01], [0.59, -1.78, -0.51], [0.08, 0.31, 0.16], [0.10, 0.39, -0.72], [0.37, 0.04, -0.55], [-0.25, 1.03, 0.03], [-0.25, -0.07, 0.20], [-0.65, 0.16, 0.22], [-0.01, 0.16, 0.12], [0.33, -0.05, 0.26], [0.50, 0.38, 0.21], [-0.39, -0.18, -0.35], [-0.29, -0.49, 0.29], [-0.19, 0.53, -0.75], [-0.15, -0.25, -0.10], [0.06, 0.12, -0.18], [-0.04, -0.11, -0.03], [-0.03, 0.14, 0.38], [-0.11, -0.05, 0.01], [0.31, -0.25, 0.25], [-0.63, 0.59, 0.47], [-0.22, 0.72, -0.62], [0.27, -0.79, 0.67], [0.28, 0.52, 0.16], [-0.38, 0.06, -0.50], [0.00, -0.31, -0.09], [0.22, 0.03, 0.33], [0.24, -0.04, -0.01], [0.09, -0.19, -0.29], [0.04, -0.65, -0.17], [0.41, 0.53, -0.51], [-0.91, 0.55, -0.49], [0.01, 0.68, 1.10], [1.30, -0.79, -0.56], [-0.40, 0.28, 0.30], [-0.85, -0.45, 0.41], [0.31, -0.30, -0.27], [0.04, -0.60, -0.03], [0.12, 0.08, -0.11], [0.07, -0.08, 0.15], [0.87, 0.68, 0.64], [0.82, -0.39, 0.57], [-0.33, 0.36, -0.68], [0.37, 1.06, 0.43], [0.02, -0.50, 0.20], [-0.71, -0.84, -0.19], [-0.40, -0.13, -0.14], [-0.50, -0.23, 0.07], [-0.14, -0.10, -0.55], [0.01, -0.12, -0.27], [0.11, -0.20, -0.23], [0.16, -0.13, -0.04], [-0.06, -0.23, 0.39], [-0.20, 0.25, -0.04], [-0.02, 0.42, 0.11]], "mulliken_charge": [0.99, 1.70, -1.03, -0.64, -0.35, -0.39, -0.54, -0.33, 1.02, -0.66, -0.36, -0.19, 0.09, 0.30, 0.27, -0.23, 0.37, 0.28, -0.37, -0.37, 0.80, -0.56, -0.38, -0.67, 0.42, 0.00, 0.30, 0.27, 0.29, 0.30, -0.28, -0.36, 0.76, -0.59, -0.36, -0.65, 0.15, 0.27, 0.13, 0.29, 0.22, 0.31, -0.26, 1.69, -0.40, 0.55, -0.49, -0.38, -0.37, -0.04, 0.36, -0.66, 0.80, 1.37, -0.36, 0.50, -0.56, -0.40, -0.35, -0.58, 0.10, -0.63, 0.94, 0.96, -0.42, 0.42, -0.51, -0.44, -0.29, -0.68, -0.12, 0.05, 0.89, -0.15, -0.20, -0.77, 0.20], "homo_lumo_gap_ev": 6.83, "charge": 0, "energy_ev": -113814.110, "e_homo_ev": -10.7}